Software Branching and Parallel Universes

-- Misplaced records of molecules --
'''
[1]
A cluster of 13 separate species, C42H97Br3ClNO15PS12 in total. Source: OMol25; level of theory: the ωB97M-V functional and the def2-TZVPD basis.

Results
Frontier orbital gap, eV: 7.10
HOMO, eV: -10.0
Total energy, eV: -439277.728

ORCA input file:
```
! wB97M-V def2-TZVPD RIJCOSX def2/J DEFGRID3
* xyz 1 1
Br -4.27021 0.50665 2.59978
Br -2.88885 -4.38323 -0.00439
Br -2.03147 1.12090 -1.44708
Cl -1.12035 1.76971 2.86053
S -5.03760 -0.49009 -3.89713
S 4.69136 5.11806 1.95496
S -3.79465 -8.59163 -0.03298
S -2.75006 -5.43522 3.80332
S -9.75915 6.66129 -4.94764
S -8.88815 4.88007 -8.87641
S 7.43829 -4.46502 4.43507
S 3.33125 7.47653 5.32677
S 10.72615 -7.86772 7.87992
S 6.75225 0.57810 -2.14173
S -5.60009 4.90884 -2.77753
S 2.27771 -4.54269 3.27330
P -2.88149 -2.16260 -0.39498
O -8.54898 6.68454 -5.82031
O 4.54318 7.35417 4.47721
O -3.62861 -8.65878 1.44292
O -6.06507 3.55470 -2.34943
O 2.48920 -3.80162 1.98049
O 4.76719 3.64876 1.70307
O 6.88146 -5.49853 3.51466
O 6.61461 2.05824 -2.15457
O -0.87269 3.95111 -3.57206
O -2.26049 -2.02341 -1.88725
O -9.35213 3.53318 -8.44396
O 0.40609 2.15100 -3.83020
O 9.93350 -6.67745 7.45987
O -5.00316 -0.56982 -2.40143
O -1.84637 -5.13126 4.94786
N -1.63910 -1.50206 0.72824
C -3.05931 0.50149 1.09109
C -5.08386 -7.38345 -0.37107
C 7.79863 -5.27375 5.99667
C -5.93427 -1.93075 -4.49003
C 1.36248 -6.03812 2.88614
C 2.93690 0.01621 1.25905
C 2.86184 9.21307 5.34461
C 10.60899 -7.98246 9.67044
C -9.25165 5.03537 -10.63294
C -5.96512 5.06959 -4.52735
C 3.20546 1.51106 -0.77242
C 9.15229 -4.19656 3.96494
C -6.28973 0.71781 -4.33968
C 1.93181 6.91316 4.34485
C -10.46455 8.31540 -4.96106
C -3.81396 4.82321 -2.95946
C 0.31072 -0.51560 2.43407
C 1.81006 1.94504 -3.59348
C 2.03385 0.59986 -2.85054
C 3.35374 0.59869 -2.02470
C -0.51933 -2.21683 0.98680
C -4.33450 -4.65142 4.14356
C -4.74948 -10.03149 -0.53026
C -3.32866 -7.11883 4.01248
C 6.34267 5.78520 1.73440
C -0.16390 3.13255 -3.06201
C 0.07827 3.11084 -1.54579
C -0.86118 0.19361 2.15771
C -4.54369 2.04014 -0.23339
C -11.08550 5.88434 -5.88422
C 2.46188 0.80787 2.49200
C 9.72901 -9.32312 7.53033
C 3.82611 -5.35082 3.67841
C -3.31940 1.19042 -0.00939
C 3.95438 0.87131 0.44436
C 3.98351 5.87297 0.48153
C -1.82646 -0.31935 1.31164
C 8.21878 0.18015 -1.17936
C 7.43601 0.08755 -3.73259
C 1.35747 0.07592 3.33870
C -7.10218 4.80037 -9.06276
C 0.45556 -1.78165 1.81699
H -5.66009 -10.09574 0.06585
H 2.12769 -0.23974 0.55336
H -5.97650 -7.61459 0.21155
H -5.94570 1.70115 -4.01819
H -2.88312 -1.46569 -2.39275
H 8.41831 -0.88964 -1.24789
H -5.27167 1.56087 -0.89975
H 2.30467 1.84867 -4.57163
H 6.30312 6.87276 1.79072
H -6.08258 -1.84657 -5.56646
H 0.96655 3.69522 -1.27209
H 2.78750 9.58736 4.32312
H 8.31902 -4.57944 6.65512
H -5.04485 2.30250 0.70518
H 9.07174 0.74872 -1.55102
H 3.34298 0.92950 3.13725
H -6.42717 0.71701 -5.42085
H -6.89518 -2.00370 -3.98032
H 0.16393 2.06935 -1.21261
H 3.52453 2.54567 -0.95699
H -7.22747 0.47742 -3.83814
H 1.36993 -2.35569 2.04551
'''
-- So much for the records of molecules --

Have you seen this video?

Linus Torvalds is sharing his opinions about SCM, branching and merging. It’s brilliant.

There was this video with Linus Torvalds talking about git, and explaining the philosophy behind it.

I can’t remember the details, but the idea is that if the tool’s philosophy is that everything done is a merge, and that you can work “offline” without connecting to a central server, then merging becomes much easier.

I am not convinced that merging is particularly hard for strong tools, whether centralized or not. My experience with CC was that merging is pretty effortless. Google have thousands of developers all over the world, and they seem to be quite happy with Perforce. Both of these tools have centralized servers.

Maybe it’s because we employed some discipline (not that much) when merging, though.

I just searched for other YouTube videos about SCM. This one is histerical. Historical? Well, you be the judge.


One branching mistake you left out of your Anti-Patterns that I have had to deal with is developers copying code to make a “branch”, but they don’t set it up as a branch in the source control system.

# 1

Depending on which Source Control system you have this can be a huge problem. Visual SourceSafe, for example, has significant problems with this when it comes to merge time. You have to trick it with unsupported command line calls to make it think that the copied files should be “Merged” into to the main line.

Just an FYI, Microsoft’s Visual Studio Team Services is a COMPLETELY DIFFERENT source control system than VSS. It uses SQL Server to store revisions, has all the goodies for branching and merging, and even includes shelve sets for getting local changes put into a shared storage area without affecting the main source control. Once one gets used to it, it’s very easy to deal with.


“A friend of mine had what I consider a brilliant idea: let the version control system operate on the abstract syntax tree, and let each user check it out via her own formatter. There are issues, of course - like how to deal with code that doesn’t compile, and how to keep comments in the mix - but I really hope someone puts such a system together.”

I can up with a similar idea when there were discussions about the possibility of making Visual Basic keywords lower case. To avoid conflicts between machines files would be saved with upper case keywords, but if the preferences were set so they would be displayed with lower case. The same could be done for a variety of style options.

At work, we use ClearCase. Creating a branch is difficult, time-consuming, and error-prone. Merging is also difficult, time-consuming, and error-prone. All of these are faults of the tool.

I moved my development to a Mercurial repository – I use a separate branch for each major task, and employ a couple of scripts to keep things synced with my colleagues’ ClearCase checkins.

I’ve never looked back.

Merges now take mere seconds and are conflict-free. The SCM tool cleans up my mistakes, rather than the other way around. Best of all, I don’t need to beg permission from the tool before editing a file.

On a previous project I was working on, at the site of the subcontractor we were not allowed to branch: too difficult.
Well, after a month they saw that this wasn’t workable anymore, so we could branch… but only files, no directories.
Again too difficult, but again after a month we could also branch directories. (what’s so difficult about merging a directory?)

So here we had ‘experienced’ SCMs saying that we could not branch files and directories, although we were doing this on our own site already for years. I still remember the shouting match between our SCM and theirs, ours won :slight_smile:

The branching system we used there (embedded software):

  • one main branch that continues forever
  • a branch per product group
  • a branch (of the product group) per product (made a few months/weeks before its release)
  • all branches always have to be merged to the main branch
  • main branch is not merged to side branches

Never had any problems with it as long as you keep a clear overview of all branches and communicate this to everyone!
I think that is the most often overlooked thing about branches: communication! What is the branch for, who can work on it, from/to where to merge, …

Tool we used btw, was CMSynergy/Continuus.
A very good merge tool is Beyond Compare.

Somewhat of a newbie - but here’s my 2c…

As I work, I check in often via the Eclipse shell to CVS. I also update often. Several times a day sometimes.

Occasionally there are code conflicts, but these are not big - how much can a team change in a few hours, after all?

Several times a day, the Test runner sends out an email informing us whether the build passed or failed. Personally, I don’t trust my own code at all unless I’ve written a few tests for it. These tests are also checked in, and the test runner picks them up.

This ‘continuous’ checkin+update+test process ensures that things work well…

Although admittedly, the team is still small. Don’t know how well it would work if there were 40 of us all at the same time…

Another very useful feature of CMSynergy/Continuus that I haven’t seen used anywhere else is task based development.
See also

This was a big change in our organization because it’s not efficient to mix task based with file based checkouts.

A task can be a normal task that you would give to a developer, but also solving a particular bug, etc.
Making a build “with that and that bug solved” is very easy then, just take a base and add the tasks you want.
I don’t know which other tools support Task Level Commits.

@Jon Galloway
Example: if you went back in time 24 hours, you’d be floating somewhere in outer space since the earth would have moved on.

This just show how confusing parallel timelines can be and how carefully you have to think about them.

You should have said either…

Example: if you went back in time 24 hours, you’d be floating somewhere in outer space since the earth would not be there yet.


Example: if you went forward in time 24 hours, you’d be floating somewhere in outer space since the earth would have moved on.

Sorry to be the pedant, but this is typical of the kind of error found in sci-fi movies - simply because somebody had an essentially good idea but didn’t think it through.


I’m a first-time commenter here, but just wanted to say what a fantastic article this is.

Branching is a very much misunderstood, and mistrusted version control tool. I used to use Visual SourceSafe’s branching functions when I was a developer, but there was great mistrust of it.

Some things never change!

That’s because VSS’s “branching” concept is a truly horrible thing that should be mistrusted.


actually the first branching pattern you display (Branch per Release) is - as displayed - one of the worst to start with (read Appleton and related posts). Please update and replace it with a better one!

We do branch for each version, then do bug fixes in that branch and merge them back into the trunk (or development branch). It works quite well, the merging is usually done in a relatively short time and hardly causes problems. Just don’t wait too long with it!

I have to agree with all the other fans of distributed CM systems. When branching and merging is cheap, fast, easy, and doesn’t need to go thru a central chokepoint, it becomes much much more useful.

I use Mercurial myself.

What kills me about merging is that every mistake you make is a bug. And it’s probably a regression, which looks the worst.

git looks pretty awesome, from the perspective of making your code look like a london tube map. ^.~

“Eclipse has had local history for years, and Netbeans 6 does as well. :)”

It helps, but it’s not as helpful as a local repository (centralized or distributed). It doesn’t help smooth painful merges or give anyone else the ability to view your change history.

Sorry dude, you lost your argument by invoking Godwin’s law! :wink:

We do branch for each version, then do bug fixes in that branch and merge them back into the trunk (or development branch). It works quite well, the merging is usually done in a relatively short time and hardly causes problems. Just don’t wait too long with it!

This is exactly what we do and I find it works really well - development can continue on the trunk, and hopefully if no bugs come out in QA process we have no merging to be done backinto the trunk.

Having been the CVS guy on 3 seperate dev teams and, along the way, having actively developed advanced environment management techniques, abusing CVS heavily, I have had my share of real-world experience.

In my experience,the best SCM techniques are discipline and communication.

The former in the form of regularity in branching/merging and the reasons why, not modifying code layout for the hell of it or (more typically) to inflict one’s personal style (or belief system).

The latter on all occasions where one might create merge conflicts; beforehand (a certain amount of archtecture and planning to avoid everyone and their dog necessarily modifying the same six files every two days) and during development, at those times when well-planned interfaces prove inadequate, borken or otherwise deficient. Don’t just sit on your branch and pretend the rest of the world doesn’t exist; if it looks like you might be stomping on someone’s toes a week from now, ask them where they think they might be putting their feet.

Note: this is no guarantee or a fail-safe method; it merely sensibly avoids creating the bulk of unnecessary conflicts.

That all said, I am turning around to see the error of my ways wrt my tendencies towards wanting to run The Department Of Centrally Controlled Source Control And Build Management For The Benefit Of All—DVCS are just sooooo much more sensible.